Exercise:
Transcribe only the lines below with the word "Atomic" in them.

Data:
┌──
This entry pairs a crystal structure of K2Nb3Cl7O5 with its theoretical XRD peak list. Radiation: Cu Kα (weighted mean of Kα1 and Kα2). Structure: a structure optimized by DFT (PBE).
Neutral-atom scattering factors, no anomalous dispersion.

Peak list (10 most intense, 10 to 80 degrees two-theta, sorted by position)
hkl	two_theta	intensity
2 0 0	11.20	1000
1 1 -2	18.53	186
3 1 -2	21.13	178
4 0 0	22.52	196
2 2 -2	25.69	596
0 2 2	26.17	408
2 0 -4	31.64	215
6 0 0	34.06	365
4 2 2	39.12	167
4 0 4	48.86	171

Atomic structure:
a b c (Å): 17.180 8.996 11.337
angles (deg): 90.00 113.16 90.00
Space group C2/c (No. 15)
Unique sites:
K1 0.199 0.037 0.357 [8 per cell]
Nb1 0.000 0.463 0.250 [4 per cell]
Nb2 0.002 0.212 0.973 [8 per cell]
Cl1 0.000 0.085 0.750 [4 per cell]
Cl2 0.151 0.423 0.341 [8 per cell]
Cl3 0.152 0.212 0.635 [8 per cell]
Cl4 0.156 0.206 0.047 [8 per cell]
O1 0.000 0.000 0.000 [4 per cell]
O2 0.001 0.398 0.873 [8 per cell]
O3 0.002 0.288 0.121 [8 per cell]

---

This entry pairs a crystal structure of K2NdCl5 with its theoretical XRD peak list. Radiation: Cu Kα (weighted mean of Kα1 and Kα2). Structure: a structure optimized by DFT (PBE).
Neutral-atom scattering factors, no anomalous dispersion.

Peak list (10 most intense, 10 to 80 degrees two-theta, sorted by position)
hkl	two_theta	intensity
1 0 1	12.81	1000
2 0 0	13.58	518
0 2 0	20.16	412
3 0 1	23.19	402
1 2 1	23.97	557
2 2 2	32.95	516
4 2 0	34.23	421
2 1 3	37.27	440
0 4 0	41.00	416
5 2 1	41.76	386

Atomic structure:
a b c (Å): 13.037 8.802 8.154
angles (deg): 90.00 90.00 90.00
Space group Pnma (No. 62)
Unique sites:
K1 0.173 0.003 0.044 [8 per cell]
Nd1 0.006 0.250 0.574 [4 per cell]
Cl1 0.010 0.250 0.918 [4 per cell]
Cl2 0.080 0.542 0.660 [8 per cell]
Cl3 0.176 0.250 0.370 [4 per cell]
Cl4 0.201 0.750 0.333 [4 per cell]

---

This entry pairs a crystal structure of K2NdCl5 with its theoretical XRD peak list. Radiation: Cu Kα (weighted mean of Kα1 and Kα2). Structure: a structure optimized by DFT (PBE).
Neutral-atom scattering factors, no anomalous dispersion.

Peak list (10 most intense, 10 to 80 degrees two-theta, sorted by position)
hkl	two_theta	intensity
0 0 1	11.09	551
1 1 0	15.49	1000
1 1 1	20.91	337
1 1 -2	24.38	195
2 2 -1	30.92	333
3 1 -1	31.73	314
0 0 3	33.70	223
2 2 -2	34.54	329
2 2 1	35.48	215
4 0 -1	39.58	184

Atomic structure:
a b c (Å): 9.114 7.632 8.412
angles (deg): 90.00 108.45 90.00
Space group Cm (No. 8)
Unique sites:
K1 0.000 0.000 0.000 [2 per cell]
K2 0.033 0.500 0.660 [2 per cell]
Nd1 0.239 0.500 0.276 [2 per cell]
Cl1 0.043 0.252 0.343 [4 per cell]
Cl2 0.210 0.287 0.000 [4 per cell]
Cl3 0.371 0.500 0.614 [2 per cell]

---

This entry pairs a crystal structure of KRb2NdCl6 with its theoretical XRD peak list. Radiation: Cu Kα (weighted mean of Kα1 and Kα2). Structure: a structure optimized by DFT (PBE).
Neutral-atom scattering factors, no anomalous dispersion.

Peak list (10 most intense, 10 to 80 degrees two-theta, sorted by position)
hkl	two_theta	intensity
0 1 1	13.43	695
1 0 -2	13.97	397
0 2 0	21.71	395
1 1 1	22.29	1000
1 1 -3	22.57	979
2 1 -1	26.43	444
2 2 -2	31.68	806
0 0 4	32.18	470
3 1 -1	39.55	567
2 0 -6	40.08	583

Atomic structure:
a b c (Å): 7.803 8.188 13.486
angles (deg): 90.00 124.40 90.00
Space group P2_1/c (No. 14)
Unique sites:
K1 0.000 0.000 0.000 [2 per cell]
Rb1 0.221 0.067 0.745 [4 per cell]
Nd1 0.500 0.000 0.500 [2 per cell]
Cl1 0.165 0.187 0.447 [4 per cell]
Cl2 0.255 0.724 0.434 [4 per cell]
Cl3 0.382 0.045 0.267 [4 per cell]

---

This entry pairs a crystal structure of K2NiCl7 with its theoretical XRD peak list. Radiation: Cu Kα (weighted mean of Kα1 and Kα2). Structure: a structure optimized by DFT (PBE).
Neutral-atom scattering factors, no anomalous dispersion.

Peak list (10 most intense, 10 to 80 degrees two-theta, sorted by position)
hkl	two_theta	intensity
2 0 0	12.89	600
1 1 -1	14.00	683
0 0 2	16.87	863
1 1 -2	19.18	708
3 1 0	22.47	824
0 2 0	22.60	623
2 0 -4	31.28	1000
4 2 -2	33.71	660
2 2 2	34.06	716
└──

Here it is:
Atomic structure:
Atomic structure:
Atomic structure:
Atomic structure: